Modeling, Diagnosis and Propagation of Discontinuities
Columbia University
Traditional finite elements are limited in the modeling of weak discontinuities (e.g. multiphase materials) or strong discontinuities (e.g. cracks) as the mesh generated has to conform to the internal boundaries of these discontinuities. Moreover, when these cracks propagate in the domain, or when one solves repeated problems involving discontinuities (e.g. as part of a Monte Carlo process), then re-meshing the domain becomes non trivial, especially in 3D. This motive repeats for many important problems in Engineering Mechanics. Consider the example of nondestructive flaw detection in Structure Health Monitoring. NDE based computational methods are very attractive as they can assess flaws without disassembling or damaging the structure in the process. They are structured as inverse problems in which measurements of system variables such as strains may be available, while the physical properties of the system itself are unknown. Typically, the solution of inverse problems consists of an iterative process with multiple solutions of a changing forward problem that has to be solved within some minimization algorithm. Hence by minimizing the error between the predicted and measured quantities, it is expected that the iteration will converge to the true flaw. However, these algorithms can routinely converge to a local minimum, which may be far from the true solution, and may also take a large number of iterations. When cracks are broadly defined as damage zones in structures, the geometry of the forward problem remains unchanged and iterations are simply repeated with mesh refinement. This process - usually addressed in the literature as parameter estimation or identification - results in a crude estimation of flaw location and size.
The limitations of FEM in modeling, diagnosis and propagation of weak and strong discontinuities can be circumvented by extended finite element techniques. The key idea of XFEM is to locally enrich the standard FE approximation with local partitions of unity enrichment functions, which are chosen according to the physics of the problem at hand. These functions are capable of generating discontinuities and hence the meshing limitations of FEM are alleviated.

The extended finite element method is implemented within a Genetic Algorithm framework and applied to the detection of cracks and holes. It is shown that with a versatile elliptical hole formulation in XFEM any flaw type may be approximated by minimizing the error between the simulated data and sensor measurements. Hence for arbitrary shaped damage, the algorithm converges to the "best" approximating elliptical hole. The methodology has been validated numerically and experimentally on different flaw types and was shown to provide relatively accurate results, given that sufficient number of sensors is employed.
The extended finite element method offers significant advantages in the modeling of discontinuities at different scales. It may be coupled with optimization methods (e.g. for flaw detection), Monte-Carlo methods (e.g. for uncertainty quantification), or may simply be employed to improve our understanding and modeling capabilities of fracture mechanics techniques.
Core competencies
- Systematic modeling of discontinuities by Extended Finite Element Methods
- Multiscale methods for bridging the time and length scales in material modeling
- Simplified contact-friction models for suspension bridges main cables
- Computational nanomechanics
- Methods for shear band modeling
- Multigrid methods, iterative solvers and parallel computing
Current research team members
- Haim Waisman (PI)
- Ravindra Duddu (Postdoctoral Fellow)
- Badri Hiriyur (Ph.D. Candidate)
- Xia Liu (Ph.D. Candidate)
- Arturo Montoya (Ph.D. Candidate)
- Mengyu Lan (Ph.D. Candidate)
- Colin McAuliffe (Ph.D. Candidate)
== Unrelated to this piece: materials data ==
~~~
## SbOsRu (PBE-GGA)

Data for crystalline SbOsRu at its relaxed geometry.

a = 7.529 Å, b = 7.229 Å, c = 2.936 Å
α = 84.33°, β = 72.84°, γ = 22.83°
Positions (direct):
Sb 0.000 0.000 0.000
Os 0.678 0.678 0.322
Ru 0.326 0.326 0.674

Computed properties:
As for the density of states at the Fermi level: 4.5 states/eV/cell. As for the total energy: -7.330 eV/atom. Its uncorrected formation energy is 84.8 kJ per mole of atoms. Its space-group type is Fmm2, No. 42.


# 1
DFT (PBE) results for a relaxed structure of SrEu2Mg.

Cell and atoms, written as POSCAR:
```
SrEu2Mg
1.0
-3.094 -3.957 3.414
0.084 -5.915 -1.377
2.977 -3.907 3.571
Sr Mg Eu
1 1 2
direct
0.000 0.000 0.000
0.500 0.500 0.500
0.250 0.250 0.250
0.750 0.750 0.750
```

energy of formation = 0.2 eV per formula unit
excess energy over the best structure of this formula in the dataset = 7.6 kJ/mol of atoms
symmetry = Fm-3m

# 2
DFT (PBE) results for a relaxed structure of Sr2EuMg.

Cell and atoms, written as POSCAR:
```
Sr2EuMg
1.0
4.976 0.000 0.000
0.000 5.858 0.000
0.000 0.000 5.858
Sr Mg Eu
2 1 1
direct
0.000 0.000 0.500
0.000 0.500 0.000
0.500 0.500 0.500
0.500 0.000 0.000
```

energy of formation = 0.2 eV per formula unit
excess energy over the best structure of this formula in the dataset = 3.6 kJ/mol of atoms
symmetry = P4/mmm

# 3
DFT (PBE) results for a relaxed structure of SrEuTmMg.

Cell and atoms, written as POSCAR:
```
SrEuTmMg
1.0
5.824 0.000 0.000
2.912 5.044 0.000
2.912 1.681 4.755
Mg Tm Sr Eu
1 1 1 1
direct
0.750 0.750 0.750
0.000 0.000 0.000
0.500 0.500 0.500
0.250 0.250 0.250
```

energy of formation = 0.6 eV per formula unit
symmetry = F-43m

no.,ρ (g cm⁻³)
1,4.359
2,3.417
3,5.146


1.
First-principles (PBE) data for a relaxed structure of AgP4Pt, as listed in the Alexandria database.
~~~
- Luciana Balsamo (Ph.D. Candidate)
- Brett Benowitz (Ph.D. Candidate)
- Reza Yaghmaie (Ph.D. Candidate)
- Weizhi Shao (Ph.D. Candidate)
Former research team members
- Luc Berger-Vergait (M.S), currently at INSA, France
- Eleni Chatzi (Ph.D.), Assistant Professor at ETH, Switzerland
Current research collaborations
- Raimondo Betti, George Deodatis, Andrew Smyth, Jacob Fish and David Keyes at Columbia University
- Ray Tuminaro and Erik Boman at Sandia National Labs